Material.
-- begin --
[1]
DFT (PBE-GGA) results for an optimized crystal structure of RbNaCd2Cl6.

Summary:
E_tot   -58.11 eV/cell
Energy relative to the elements, uncorrected   -1.39 eV/atom
Volume   33.4 A^3/atom
Calculated density   2.7 Mg/m³
Crystal system   monoclinic

a = 7.254 Å, b = 9.631 Å, c = 9.631 Å
α = 90.31°, β = 84.72°, γ = 84.72°
Fractional positions:
Rb 0.250 0.904 0.096
Rb 0.750 0.096 0.904
Na 0.250 0.283 0.717
Na 0.750 0.717 0.283
Cd 0.224 0.783 0.607
Cd 0.276 0.393 0.217
Cd 0.776 0.217 0.393
Cd 0.724 0.607 0.783
Cl 0.170 0.984 0.772
Cl 0.330 0.228 0.016
Cl 0.830 0.016 0.228
Cl 0.670 0.772 0.984
Cl 0.409 0.832 0.391
Cl 0.091 0.609 0.168
Cl 0.591 0.168 0.609
Cl 0.909 0.391 0.832
Cl 0.896 0.715 0.570
Cl 0.604 0.430 0.285
Cl 0.104 0.285 0.430
Cl 0.396 0.570 0.715

[2]
DFT (PBE-GGA) results for an optimized crystal structure of Rb2NaCdCl.

Summary:
E_tot   -9.16 eV/cell
Energy relative to the elements, uncorrected   -0.63 eV/atom
Volume   46.2 A^3/atom
Calculated density   2.5 Mg/m³
Crystal system   tetragonal

a = 6.504 Å, b = 6.504 Å, c = 5.455 Å
α = 90.00°, β = 90.00°, γ = 90.00°
Fractional positions:
Na 0.000 0.000 0.500
Cl 0.000 0.000 0.000
Rb 0.000 0.500 0.000
Rb 0.500 0.000 0.000
Cd 0.500 0.500 0.500
-- stop --

Request.
Echo everything above word for word.

Worked solution.
[1]
DFT (PBE-GGA) results for an optimized crystal structure of RbNaCd2Cl6.

Summary:
E_tot   -58.11 eV/cell
Energy relative to the elements, uncorrected   -1.39 eV/atom
Volume   33.4 A^3/atom
Calculated density   2.7 Mg/m³
Crystal system   monoclinic

a = 7.254 Å, b = 9.631 Å, c = 9.631 Å
α = 90.31°, β = 84.72°, γ = 84.72°
Fractional positions:
Rb 0.250 0.904 0.096
Rb 0.750 0.096 0.904
Na 0.250 0.283 0.717
Na 0.750 0.717 0.283
Cd 0.224 0.783 0.607
Cd 0.276 0.393 0.217
Cd 0.776 0.217 0.393
Cd 0.724 0.607 0.783
Cl 0.170 0.984 0.772
Cl 0.330 0.228 0.016
Cl 0.830 0.016 0.228
Cl 0.670 0.772 0.984
Cl 0.409 0.832 0.391
Cl 0.091 0.609 0.168
Cl 0.591 0.168 0.609
Cl 0.909 0.391 0.832
Cl 0.896 0.715 0.570
Cl 0.604 0.430 0.285
Cl 0.104 0.285 0.430
Cl 0.396 0.570 0.715

[2]
DFT (PBE-GGA) results for an optimized crystal structure of Rb2NaCdCl.

Summary:
E_tot   -9.16 eV/cell
Energy relative to the elements, uncorrected   -0.63 eV/atom
Volume   46.2 A^3/atom
Calculated density   2.5 Mg/m³
Crystal system   tetragonal

a = 6.504 Å, b = 6.504 Å, c = 5.455 Å
α = 90.00°, β = 90.00°, γ = 90.00°
Fractional positions:
Na 0.000 0.000 0.500
Cl 0.000 0.000 0.000
Rb 0.000 0.500 0.000
Rb 0.500 0.000 0.000
Cd 0.500 0.500 0.500